European reaction: Shock and disappointment at Brexit

Angela Merkel calls for European unity after after ‘calm and confident’ analysis

German Chancellor Angela Merkel giving a statement in Berlin on Friday morning. The Brexit decision presents Dr Merkel with the greatest headache of her career. Photograph: Hannibal Hanschke/Reuters

Chancellor Angela Merkel has said she accepts – "with great regret" – Britain's decision to leave the EU but insisted the union would recover from this "serious setback" to the European integration project.

The German leader vowed to help shape a “close, co-operative” relationship with Britain outside the EU and called on remaining leaders to act together after a “calm and confident” analysis of the challenges ahead.

Ahead of next week's EU summit in Brussels, the German leader will meet French and Italian leaders in Berlin on Monday, joined by European Council president Donald Tusk.

On Saturday morning, Germany will host a meeting of "founding EU" foreign ministers in Berlin as the continent's ascendent Eurosceptics expressed hope for further referendums to follow Brexit: Dexit (Denmark), Nexit (The Netherlands) or even Öxit (Austria).


German foreign minister Frank-Walter Steinmeier will welcome his colleagues from France, Italy, Belgium, Luxembourg and the Netherlands outside Berlin after what he called a "really sobering" Brexit vote.

“It looks like a sad day for Europe and Britain,” said Mr Steinmeier.

Around the German capital, shell-shocked senior politicians admitted they were “grieving” the looming departure of an often aggravating but always admired EU partner.

The Brexit decision presents Chancellor Angela Merkel, Europe’s dominant leader, with the greatest headache of her career. At home, she must work fast to limit economic disruption possible by the EU departure of Germany’s third-largest export market. And, just over a year before federal elections, she needs a quick deal with Britain to take the wind from the sails of Germany’s nascent right-wing populists.

Dr Merkel’s closest EU advisers cancelled a planned press briefing on Friday to mull over another dilemma: how to jump-start EU reform without Britain, one of its great reform powers, without Berlin appearing even more dominant than it already is.

Prosperity and stability

Speaking to the press in Berlin, Dr Merkel said there was “no point beating about the bush” about the Brexit disaster. With British voters’ doubts about the EU shared – by varying degrees – across Europe, she said greater efforts were needed to explain the EU’s contribution to improving citizens’ lives as a guarantor of peace, prosperity and stability.

Germany’s veteran finance minister Wolfgang Schäuble said he’d wished for another result but respected the outcome.

“The EU procedure for an exit from the EU is regulated clearly and will be used. This creates reliability,” said Dr Schäuble. “Europe will stand together. Together we have to make the best of the decision of our British friends.”

Dr Merkel's EU-critical Bavarian ally Horst Seehofer wasted no time in calling for Germany to hold its own EU referendum, saying "civic participation is the core of modern politics".

On Twitter, Germany's Social Democrat (SPD) leader Sigmar Gabriel, deputy chancellor in Berlin, summed up his feelings in one, English word: "Damn!"

Around Europe, reactions to the Brexit vote ran the gamut from shock and disappointment to firm resolve not to grant Britain too many concessions in upcoming negotiations – for fear of encouraging copycats. That tone was hardest in countries where Eurosceptic, populist parties are dominant forces in the political landscape.

In Vienna, Austrian chancellor Christian Kern warned that an EU without Britain "would lose status" in the world and insisted Austria would not hold a referendum on EU membership. His foreign minister, Sebastian Kurz, said that the departure of an EU major member state meant that "nothing remains the same".

“We cannot rule out a domino effect,” he said.

Days after hosting EU-critical and populist parties in Vienna, Austria's far right Freedom Party (FPÖ) congratulated Britons for their "regained sovereignty".

“This result is a turning point for democracy, against the political centralism and the ongoing migration madness,” said FPÖ leader Heinz-Christian Strache, demanding a serious reform push by the EU or face a new exit push from his party, Austria’s strongest.

Its German ally, the Alternative für Deutschland (AfD), hailed a “historic day” for Britain and for Europe.

“The people have spoken, this is direct democracy,” said Beatrix von Storch, AfD deputy leader and an MEP in Brussels.

The Netherlands

Dutch far-right leader

Geert Wilders

called it a “historic decision with enormous consequences” for the continent and his country.

"Now it's our turn, the Dutch people have to have the chance to speak their mind," he said, hitting the Hague's Achilles heel, two months after voters rejected an EU trade deal with Ukraine.

Britain's departure could cause untold aftershocks among its traditionally close northern European allies. Opinion polls in Denmark and Sweden show solid majorities in favour of EU membership but mainstream political leaders there, facing strident anti-EU populist parties in their parliaments, came out quickly on Friday to reaffirm their belief in the bloc.

Denmark, which joined the then EEC in 1973 alongside Britain and Ireland, said it was a “sad” vote but would not trigger a Danish EU referendum.

"The EU is Denmark's best opportunity to influence the world that we are a part of, for better or worse," said Lars Løkke Rasmussen, prime minister of Denmark, where two-thirds of people still support EU membership.

In Sweden, EU affairs minister insisted the country would “continue to work for a prosperous Europe”.

Though 72 per cent of Swedes favouring continued membership, the far-right Sweden Democrats are anxious to capitalise on the British vote to boost their own “Swexit” demands.

SD press spokesman Henrik Vinge tweeted: "Bloody well done, Mr Farage."

Across in Helsinki, Finland's foreign minister Timo Soini, head of the Eurosceptic Finns party, said the British vote must be respected and warned against EU "retaliation" in upcoming talks on a new deal.

In Brussels, however, European Parliament president Martin Schulz was less conciliatory, saying a drawn-out divorce with Britain was not in the EU’s interest. “The EU was the biggest single market in the world,” he said, “and Great Britain has just cut its ties to it.”

-- begin --
(1)
{"formula": "C3H10NO2S", "method": "the ωB97M-V functional and the def2-TZVPD basis", "s_squared": 2.00, "mol_weight_g_mol": 124.18, "total_charge": 1, "gap_ha": [0.1757, 0.3055], "multiplicity": 3, "species": ["C", "C", "C", "N", "O", "O", "S", "H", "H", "H", "H", "H", "H", "H", "H", "H", "H"], "xyz": [[-0.984, -1.676, -0.275], [-0.874, -0.270, 0.340], [0.359, 0.875, -0.092], [1.668, 0.750, 0.778], [0.072, 2.178, 0.108], [0.678, 0.687, -1.384], [-2.446, 0.581, 0.007], [-1.348, -1.641, -1.237], [0.023, -2.319, -0.216], [-1.596, -2.288, 0.347], [-0.925, -0.229, 1.476], [1.488, 0.428, 1.738], [2.297, -0.019, 0.483], [1.978, 1.769, 0.723], [-0.789, 2.306, -0.324], [0.721, 1.404, -2.011], [-2.091, 1.037, -1.265]], "forces_ev_per_a": [[3.8321, -0.8473, 2.2657], [2.0847, 2.2393, 1.0552], [-0.8816, -2.2328, -1.0533], [-0.3443, -0.0152, 0.1375], [-0.9232, 0.5396, 1.2391], [0.6792, -2.7473, -0.1988], [-3.1047, -0.7192, 2.4962], [-0.5631, -0.0365, -2.2326], [-1.8402, 1.7759, -0.4440], [-0.9460, -0.1497, 0.4447], [0.3520, -0.4458, -1.3735], [-0.4283, 0.9050, 0.0743], [0.0544, 1.0663, -0.8143], [0.5381, -1.7371, 0.4032], [-0.0789, 0.6564, -0.2280], [-0.0979, 1.1299, 0.1584], [1.6677, 0.6184, -1.9297]], "lowdin_charge": [-0.106, -0.536, -0.623, 0.269, 0.043, 0.077, 0.889, 0.042, 0.144, 0.067, 0.104, 0.164, 0.181, 0.200, 0.076, 0.134, -0.125]}

***

(2)
-- stop --

Central Europe

In central Europe, EU member states, never emotionally bound into its ever-closer-union philosophy, the common message was for the bloc to adapt after this vote – and fast – or face further disintegration.

Czech prime minister Bohuslav Sobotka agreed that the British vote did not mean the end of the EU but that the bloc should agree Britain’s departure “quickly and rationally”.

"The European Union must change quickly," wrote Mr Sobotka on his Facebook page. "Not because Britain has left, but because the European project needs much stronger support of its citizens."

Hungary's prime minister Viktor Orban said fear over immigration was the decisive issue of the successful Brexit campaign.

“This is the lesson for us: Brussels must hear the voice of the people,” he said on Hungarian radio.

Polish foreign minister Witold Waszczykowski agreed that the result was bad news for Europe and “a great dilemma for eurocrats”.

“We all want to keep the EU, the question is in what shape,” he said on Polish television. “This happened because the [EU] concept, which was created some time ago, is no longer popular in Europe.”

Central European countries faced a rapid sell-off in their currencies on Friday with Poland’s zloty, seen as a proxy for emerging-market risk, sliding to a five-year low.

Derek Scally

Derek Scally

Derek Scally is an Irish Times journalist based in Berlin